On Ray Fisher’s Allegations: It’s Time to Stop Excusing Joss Whedon’s Bad Behavior and the Bad Behavior of Geekdom in General
Hi Geekdom,
It’s time to admit something to ourselves — being a “nerd” or a “geek” is no longer subject to stigmatization. We are now the “cool kids” on campus, in the workplace, etc.
(1)
A cluster of 7 separate species, C26H64NO20S6 in total, computed with ωB97M-V/def2-TZVPD.

Structure (XYZ):
```
117
Properties=species:S:1:pos:R:3:forces:R:3:lowdin_charge:R:1
C -3.42856 -0.37677 11.41686 1.227 -0.012 -0.654 0.016
C -3.39468 -0.90117 9.89995 -3.636 -1.371 0.013 -0.400
O -4.46502 -1.29000 9.41209 3.891 1.186 1.014 0.109
O -2.18704 -0.88451 9.09541 -1.603 2.193 0.890 -0.121
C -2.27149 0.41931 8.41674 -0.152 0.391 0.056 -0.132
C -0.82134 0.92643 7.92939 -0.131 -2.675 0.031 -0.056
N -0.70955 2.42534 7.78453 0.817 -1.460 -0.984 -0.122
C -1.04022 3.31757 8.95239 -0.203 3.683 0.149 -0.084
C -1.90006 4.51637 8.24685 -0.447 -1.366 -1.408 -0.124
C -2.76338 3.55870 7.23959 1.053 1.205 1.501 -0.124
C -1.48581 2.81588 6.55045 -3.702 2.117 0.225 -0.091
H -4.32944 -0.80022 11.95839 1.087 0.527 -1.036 0.104
H -2.47557 -0.66697 11.98565 -1.346 0.567 -0.913 0.099
H -3.51305 0.76317 11.34920 0.142 -1.547 0.319 0.087
H -2.97303 0.28956 7.53009 0.876 0.332 1.074 0.151
H -2.75695 1.13677 9.16576 0.809 -0.668 -1.211 0.108
H -0.68825 0.49223 6.87176 0.120 0.736 1.685 0.150
H 0.02128 0.48090 8.57531 -1.387 0.971 -0.722 0.167
H 0.28379 2.61234 7.54047 -0.709 -0.350 0.401 0.194
H -1.64820 2.89063 9.80751 1.160 0.012 -1.281 0.140
H -0.06675 3.83574 9.25179 -1.322 -1.321 0.210 0.149
H -2.51250 5.19187 8.92247 0.975 -1.088 -0.676 0.131
H -1.22516 5.11275 7.55276 -0.694 -0.374 1.303 0.114
H -3.48883 4.06806 6.53235 1.191 -0.601 0.780 0.130
H -3.35769 2.95120 8.01531 0.748 0.202 -1.804 0.114
H -0.89022 3.61624 6.00659 -0.874 -1.385 0.322 0.151
H -1.98341 2.01432 5.92152 1.758 0.489 0.755 0.145
O 1.93366 -2.34876 7.84129 -0.029 -0.373 0.112 -0.294
S 1.17609 -3.49692 8.26874 -0.558 -0.681 -0.027 0.601
O 1.76236 -4.53905 9.06714 0.086 0.719 -0.435 -0.269
O 0.46237 -4.16488 6.98215 -0.164 0.652 0.834 -0.270
C 1.28209 -4.57158 5.88298 0.803 -0.478 -0.700 -0.269
C 2.06701 -5.83215 6.19943 0.090 -0.058 0.250 -0.069
C -0.29224 -2.93788 9.08050 0.178 -0.205 -0.267 -0.128
H 1.94813 -3.75763 5.58027 -0.099 0.039 0.165 0.118
H 0.61295 -4.76946 5.04231 -0.208 0.181 0.273 0.117
H 2.79051 -5.65668 6.99588 -0.008 0.005 -0.062 0.071
H 2.61311 -6.17971 5.32060 -0.118 0.075 -0.029 0.086
H 1.39700 -6.62535 6.54017 0.032 0.062 -0.109 0.089
H -0.76243 -2.17432 8.47099 0.165 -0.323 0.001 0.036
H 0.00115 -2.52254 10.04450 0.124 -0.050 -0.089 0.083
H -0.95995 -3.78552 9.23119 0.069 0.038 -0.055 0.088
O 1.37505 -2.90739 1.26279 -0.112 0.485 0.467 -0.278
S 0.73959 -1.62143 1.36834 -0.483 0.253 -0.540 0.602
O 1.23073 -0.60293 2.26092 -0.007 -0.630 -0.097 -0.291
O -0.83933 -1.83714 1.64781 0.574 0.229 -0.460 -0.260
C -1.22642 -2.61081 2.78302 -0.163 -0.359 0.787 -0.259
C -1.01575 -1.85029 4.08025 0.246 0.155 0.194 -0.086
C 0.59822 -0.91640 -0.24774 -0.174 -0.063 0.037 -0.115
H -0.69384 -3.56661 2.79570 0.070 0.128 -0.115 0.115
H -2.28885 -2.83611 2.66838 0.143 0.125 -0.322 0.128
H 0.04365 -1.66021 4.25762 -0.021 -0.043 0.003 0.065
H -1.40198 -2.41682 4.93063 -0.062 -0.062 -0.097 0.078
Now, for some younger nerds reading this, what I just said is probably obvious. Chances are, if you are a Gen Z nerd, you may recall little to no incidents where you were made to feel “less than” for consuming comic books, cartoons, anime, science fiction novels, etc. At most, older Gen Z nerds probably witnessed the culture shift that has taken place in the last decade or so. However, millennials and older generations took the brunt of the bullying and ridicule from our peers before any sign of a culture shift took place.
Despite the change in attitude towards “geek culture,” however, it seems many older nerds are clinging to the idea that we are pariahs or outcasts, but the truth is probably a hard pill to swallow for some of us. Chances are if we are having trouble making or keeping friends and people generally want nothing to do with us, it very likely has nothing to do with our nerdy interests. Some of us need to be honest with ourselves and admit that a portion of us have become bullies. This hard truth is seen quite frequently in fandom circles, and even the creators themselves are not safe from the bullying.
In recent news, actor Ray Fisher has come forward via Twitter with claims that Joss Whedon’s behavior on the set of 2017’s Justice League was “gross, abusive, unprofessional, and completely unacceptable.” Obviously, with such claims, it’s only natural to be curious about the details. Fisher explained further in a live stream interview that he is “still very much under contract and [he is] still very much under non-disclosure agreement […] So, [he’s] gotta be very careful about what [he says] and how [he says] it.” Kevin Smith, known fanboy of all things comics, has since appeared to place himself in Fisher’s corner stating that during a visit to the set of Star Wars: Rise of Skywalker (of which there were those who worked on Justice League) that the “special effects guy said there was, like, a fair amount of trashing of…Zack’s version of the movie on set by Joss. Again, this is what a special effects guy who worked on both versions of the movie told [him]. And that [Whedon] would cut down, dismiss and be negative about Zack’s version, which he had seen, and all these people had made together without [Whedon] and stuff. And so the guy said that it was kind of uncomfortable on set because, like, the people that he was talking to about not liking that version of the movie were all people that made that version of the movie. So that […] is probably the ‘unprofessional’ thing, like, you don’t do that. Especially if you came in to, you know, help out during a bad moment in the director’s life.”
For those who are unaware, the “bad moment” Smith is referring to is the death of Zack Snyder’s daughter in 2017. Snyder announced via Twitter that he would be stepping down from Justice League in the following statement:
To many fans, Whedon comes off as this guy who is just as much a fan of this stuff as we are. Many people in fandom likely identify with him. However, when people come forward to talk about their experiences working with him, it’s important we listen to them, regardless of how we felt about him prior. In 2009, actress Charisma Carpenter revealed at DragonCon that she and Whedon’s relationship became “strained” on the set of Angel when she became pregnant which resulted in her character being written off in a way that rubbed fans the wrong way (this is known as the “Evil Cordelia” storyline). Years later, in 2017, Whedon’s ex wife, Kai Cole, came forward revealing alleged affairs he had with young actresses who worked for him while the two were married. In addition, blogger Grace Randolph has claimed via Twitter that actress Gal Gadot did not want to shoot a scene in Justice League in which the Flash (Ezra Miller) lands face first into Wonder Woman’s breasts for comedic effect. Randolph goes on to claim that the reason we cannot see Gadot’s face in this scene is because a stunt double ended up doing it. Now, I could not find anything to verify this claim, but there might be something to be said for the fact that Caitlin Burles, the stunt double in question, has liked and commented on Fisher’s statements about Whedon.
**Misplaced molecular data:**
Record 1
The following is a quantum chemistry calculation of a structure of composition C3H2FMgO2 at a distorted geometry, from the OMol25 dataset.

Computed properties:
- electronic energy (eV) = -15396.3212
- HOMO energy (alpha / beta) (eV) = -7.431 / -8.130
- energy above the lowest of the compared OMol25 structures with the same formula, charge and spin (kJ/mol) = 206.8
- <S²> = 0.7525

Geometry as ORCA input:
```
! wB97M-V def2-TZVPD RIJCOSX def2/J DEFGRID3
* xyz 0 2
C -1.27 0.09 -0.65
C 1.11 -0.56 0.48
O -0.89 -1.06 -0.36
O -0.34 1.06 -0.33
C 0.63 0.71 0.60
H 1.35 -1.21 1.33
F 1.85 -0.88 -0.63
H 0.44 1.10 1.60
Mg -2.87 0.73 -2.04
*
```

Record 2
The following is a quantum chemistry calculation of a structure of composition C3H6INO2 at a distorted geometry, from the OMol25 dataset.

Computed properties:
- electronic energy (eV) = -16893.4073
- HOMO energy (eV) = -8.650
- energy above the lowest of the compared OMol25 structures with the same formula, charge and spin (kJ/mol) = 81.6

Geometry as ORCA input:
```
! wB97M-V def2-TZVPD RIJCOSX def2/J DEFGRID3
* xyz 0 1
C -0.13 1.43 -0.37
C 0.12 -1.03 0.69
C -0.28 0.39 0.70
N -0.09 1.06 -1.69
O -0.07 2.56 0.09
O -0.20 0.91 1.92
I -3.06 0.19 0.00
H 0.70 -1.22 1.62
H 0.76 -1.21 -0.19
H -0.84 -1.69 0.68
H -0.48 0.20 -1.84
H -0.01 1.72 -2.50
H -0.27 1.99 1.81
*
```

Record 3
The following is a quantum chemistry calculation of a cluster of 2 separate species, C3H10N4O in total at a distorted geometry, from the OMol25 dataset.

Computed properties:
- electronic energy (eV) = -11281.6121
- HOMO energy (eV) = -8.686
- structure (SMILES) = [H]/N=C\NC.NC(N)=O
- energy above the lowest of the compared OMol25 structures with the same formula, charge and spin (kJ/mol) = 56.8

Geometry as ORCA input:
```
! wB97M-V def2-TZVPD RIJCOSX def2/J DEFGRID3
* xyz 0 1
H -1.76 0.08 -2.06
N -2.02 -0.20 -1.11
C -1.57 0.65 -0.26
N -0.73 1.70 -0.59
C -0.14 2.60 0.37
H -1.86 0.61 0.80
H -0.34 1.71 -1.52
H -0.04 3.60 -0.05
H 0.85 2.24 0.64
H -0.73 2.67 1.29
N 0.29 -2.05 -0.57
C 0.94 -1.49 0.48
N 1.99 -2.26 0.88
O 0.56 -0.56 1.20
H 0.14 -3.05 -0.51
H -0.56 -1.56 -0.85
H 2.48 -2.77 0.16
H 2.49 -1.93 1.70
*
```

* * * * *

Formula: C40H108N8O11
Source: the Open Molecules 2025 dataset
Level of theory: ωB97M-V/def2-TZVPD

ΔE to the lowest compared entry with this formula, charge and spin (kcal/mol): 32.2
Calculated total energy (Ha): -2854.238036
2S+1: 1
E_HOMO (eV): -8.2
SMILES: CC1(C)CCCC(C)(C)N1O.COC[C@H](C)N.COC[C@H](C)N.COC[C@H](C)N.COC[C@H](C)N.COC[C@H](C)N.COC[C@H](C)N.COC[C@H](C)N.CO.CO.CO

```
167
Properties=species:S:1:pos:R:3:forces:R:3
C -2.125872 -3.133483 -2.790919 -0.912 -0.852 -0.590
H -6.330889 -0.553113 4.352188 0.025 0.105 0.164
H 2.198904 -1.926389 -1.824108 -0.050 0.454 0.106
C -4.617230 1.569911 2.573697 1.263 0.955 -0.136
H 3.231365 2.757374 5.357086 -0.132 0.280 -0.061
C 4.912133 -4.110755 -0.900050 0.493 -0.170 0.489
H -1.839420 -2.695839 -1.835380 0.417 -0.262 0.014
All of this alleged behavior is a stark contrast to the man Whedon presents himself to be. On multiple occasions, Whedon has hailed himself a “feminist,” yet claims made by Fisher, Carpenter, and Cole along with some of his creative choices in his writing of women suggest something different. These things, however, tend to get swept under the rug by geekdom. Snyder, however, has been subject to the kind of ridicule I believe many could call unfair. This is not to suggest that anyone has to like Snyder’s interpretation of well-known DC characters or that he has never written anything problematic in his own films. His work, like Whedon’s, should not be immune from criticism. However, there is an obvious difference in the way these two filmmakers are treated by geekdom and some fans have gone as far as to celebrate his stepping down from Justice League and even mocking the tragic loss of his daughter.
As earlier stated, to many fans, Whedon comes off as a nerd ‘just like all of us.’ However, Whedon made it. He’s successful. He’s well respected in the film industry. He’s who many fans wish they could be. But like many fans, perhaps he’s still clinging to the idea that because he’s a nerd, he can’t possibly be a bully. Maybe because he calls himself a feminist, he doesn’t believe he has the potential to be even slightly misogynistic. This is a pattern many of us might see amongst ourselves, but as many of us know, a person has the option to call themselves whatever they want — a feminist, anti-racist, ally — but if you are an artist, people will often make their own conclusions based both off your actions and your art. With this in mind, it seems quite strange that Whedon, time and time again, seems to avoid any real consequences, while Snyder seems to take most of the punches from geekdom.
Unlike Whedon, Snyder doesn’t really make it a point to publicly label himself a feminist. Subjectively, however, Snyder does present varying types of women from vulnerable, intelligent, threatening, nurturing, and sometimes a mix of all of these things in his films. Additionally, he took a risk casting Jason Momoa as Aquaman, a character who has historically been presented as white and blonde. He has also publicly praised Fisher and has described his character, Cyborg, to be the heart of his version of Justice League. Again, Snyder is not known for being blunt about his opinions, but sometimes actions speak louder than words.
Many nerds are reluctant to think of themselves as potential bullies, but all one needs to do is look at the behavior of geekdom from 2013 on when Man of Steel was released and Ben Affleck was announced to have been cast to play Batman in Batman v. Superman: Dawn of Justice (2016). Full-on petitions were made online as an attempt to pressure the studio into reconsidering. Not long after this, Gadot was cast to play Wonder Woman and geekdom immediately began to pick apart her appearance as a way to argue against the decision. Somewhere in the midst of the culture shift, it seems, nerds began to forget that all of the people involved in these movies are, in fact, people.
Whedon, it seems, gets a pass for his behavior because his work is well-liked and heavily praised by geekdom and critics alike. It’s apparent that his behavior outside of the persona he presents in the public eye can all be excused by geekdom as long as he continues to make creative choices that geekdom, at large, agrees with. Snyder, however, made the mistake of taking creative risks with characters loved by geekdom, so by geekdom logic, ugly behavior towards him can be excused.
Within many of the stories that nerds love is the theme “with great power comes great responsibility” (this phrase is most famously used in the Spider-Man movies and comics, but the theme itself can be found in many stories of different franchises). I have to wonder, however, if this theme goes right over some of our heads. We are now the “popular kids” at the table. No one picks on us anymore for liking the things we do. Unfortunately, it seems many of us have not used our past experiences as lessons in how to treat people, whether they be within our fandom circles or the people involved in creating the things we love. Instead of looking out for one another, many of us can’t seem to wait to tear one another down while allowing bad behavior by those in power to go unchecked. It’s time to look in the mirror, geekdom. It’s time to call out bad behavior when we see it, whether that behavior is present in our fandoms or in the people we look up to. It’s time to acknowledge that sometimes a movie really is just a movie and regardless of whether or not we like a filmmaker’s work, bullying is never justified — whether that bullying comes from the filmmaker themselves or if said bullying is coming from fans towards a filmmaker who made a couple of creative choices they didn’t agree with. We no longer should allow those within our circles to hide behind the “nerd” or “geek” label when called out for bad behavior. As stated before, you can call yourself whatever you want, but your actions will tell everyone who you really are.
A Tired Nerd